词语大全 无声无息造句_无声无息中英文解释和造句
Posted 毒素
篇首语:好高骛远的一无所得,埋头苦干的获得知识。本文由小常识网(cha138.com)小编为大家整理,主要介绍了词语大全 无声无息造句_无声无息中英文解释和造句相关的知识,希望对你有一定的参考价值。
词语大全 无声无息造句_无声无息中英文解释和造句
无声无息 wú shēng wú xī
眼泪是无声无息(悲痛)的语言。 Tears are the silent language of grief.
此病毒最大的特点是无声无息。 This virus is characterized by the most silent.
太多的日子无声无息地过去。 Too many years have gone by without notice.
零落,无声无息,依然滋养著又一轮花期。 Scattered, silent, still nourishes the prospect of another round of flowering.
他们无声无息的交谈,字字入耳却不需倾听。 People talking without speaking, people hearing without listening.
它走上前来,无声无息偷偷摸摸地摸到了床头。 On it came-on, silently and stealthily , to the bed’s head.
蓝队无声无息地进入,扫视著建筑内的黑暗角落。 Blue Team eased inside, sweeping the dark corners of the building.
半小时过去了,这时船在湖面上无声无息地缓缓滑行。 Half an hour passed, during which time the ark had been slowly stealing over the water.
我从来没忘记过你,因为你,我学会了无声无息的爱。 I had never forgot you, because of you and I, have learned love soundless and motionless.
然而残杀女婴这类事情并不是就这样无声无息地结束了。 Yet the story of the destruction of baby girls does not end in deepest gloom.
因为有个幻影无声无息地爬过,趁我熟睡时留下了种子。 Because a vision softly creeping, left its seeds while I was sleeping.
最有趣的是,相机能无声无息地告诉我们不曾知晓的梦想。 Most amazing of all, cameras can quietly and clearly reveal to us our dreams, dreams we didn’t even know we had.
思念是那样无声无息,慢慢的在房间里蔓延,全是你的画面。 Miss is as quietly and slowly spread in the room, all your pictures.
张了张嘴,那些文字,在舌尖打了个结,终又无声无息地咽下。 Opened has opened mouth, these writing, have hit a knot in the tip of tongue, silently swallowed finally.
安静笼罩着夏夜巨大的星空,覆蓋著整个地球,温柔地无声无息。 Silence silently and gently covers the vast starry sky of summer night and the whole earth.
他发出了“行动”的信号,看着警卫一个接一个无声无息的倒下。 He gave the “go” signal and watched as one guard and then another silently fell over.
克莱伦司公爵无声无息,同女演员约夫人在蒲谢园里住了许多年。 The Duke of Clarence had lived for many years in plete obscurity with Mrs. Jordan, the actress, in Bushey Park.
如果它只是一种痛楚,它将融化成晶莹的泪滴,无声无息地折射出心底的秘密。 If it were merely a pain, it would melt in limpid tears, reflecting its inmost secret without a word.
美好的圣诞蜡烛在无声无息当中温柔地付出,因着无私的给予而逐渐燃烧殆尽。 Christmas candle is a lovely thing; It makes no noise at all, But softly gives itself away; While quite unselfish, it grows small.
我们需要无声无息地,在根本上拓宽教育不可避免的必需,教学生自我发现的需要。 We need to widen, at base, and invisibly, the inevitable necessity of teaching students the need for self-discovery.
可是,我常常听说他,听说他怎样在轰轰烈烈的爱恋中,又怎样无声无息的结束掉。 However, I often heard him, he heard how the dynamic of love, what’s the end of the fall silent.
那口大钟以前不分昼夜地打点报时,但在很多年以前遭到破坏,从此便无声无息了。 The big clock which used to strick the hours day and night was damaged many years ago and has been silent ever since.
教堂的钟很大,以前不分昼夜打点报时,但在很多年前遭到毁坏,从此便无声无息了。 The big clock which used to strike the hours day and night was damaged many years ago and has been silent ever since.
瑞德在铁栏那儿等著,抽著烟,倾听着。他探起头向下朝安迪的号房看去,无声无息。 Red waits at the bars. Smoking. Listening. He cranes his head, peers down toward Andy’s cell. Nothing. Not a peep.
日子缓缓汇入了时间的河流,就像针尖上的一滴水消失在无垠的大海,无声无息,无影无踪。 Like a drop of water from the point of a needle disappearing into the ocean, my days are dripping into the stream of time, soundless, traceless.
金亚倩悄然退开,感到一片厚而重的乌云,正从窗外向窗内游来,那阴影无声无息地庞罩着整个房间里。 Kim Yaqian Tuikai quietly, is a thick, heavy cloud, moving from window to window to swim in, then covered with huge shadow quietly throughout the room.
很多人把视力这种恩赐视为理所当然的事,但很可能无声无息,没有任何征兆的慢慢丧失视力,等发现时已经来不及了。 The gift of eyesight is something many of us take for granted , but slowly , silently , your vision can be lost without any warning signs until it’s too late.
伦敦(路透社)——英国女王伊丽莎白本周在伦敦,当他和他的丈夫无声无息在最后一分钟进入剧场看戏时,震惊了观众。 LONDON (Reuters) – Britain’s Queen Elizabeth stunned theater-goers in London this week when she and her husband slipped in to see a play unannounced and at the last minute, newspapers reported.
当博豆的身影在街边消失,一个身穿粉色纱质衣衫,带着面纱的女子,无声无息的出现在一个街角,寒寒的望着他们离去的方向… When Po and Doug have departed this street, a lady in yarn-made pink clothes with a muffler quietly shows up at a street corner and is coldly looking toward the direction Po and Doug left in.
它看似很好,它的香味很好,它的味道都很好,但隐藏在蛋糕里面是致命的毒素-这毒素会无声无息地传播,除非你在吃蛋糕前小心分析它。 It looks good, it smells good, it even tastes good, but hidden in the cake is a deadly poison – a poison that would pass unnoticed unless you carefully analysed the cake before eating.
词语大全 夜静更阑造句_夜静更阑中英文解释和造句
夜静更阑 yè jìng gēng lán
夜静更阑 yèjìnggēnglán夜静更阑的意思和解释:阑:尽。无声无息的深夜。夜静更阑的出处元·无名氏《连环计》第四折:“现如今是阿谁,忙出去问真实,则见他气丕丕的斜倚著门儿
夜静更阑 yèjìnggēnglán夜静更阑的意思和解释:阑:尽。无声无息的深夜。夜静更阑的出处元·无名氏《连环计》第四折:“现如今是阿谁,忙出去问真实,则见他气丕丕的斜倚著门儿
词语大全 悄无声息 [qiǎo wú shēng xī]_成语解释_成语出处_成语造句_近义词_反义词_相关成语_成语接龙_英文翻译
悄无声息 [qiǎowúshēngxī][悄无声息]成语解释1.形容没有声音或声音很轻。2.形容没有名声,默默无闻。[悄无声息]百科解释1.形容没有声音或声音很轻.2.形容没有名
寂然不动 jìránbùdòng寂然不动的意思和解释:寂:寂静。寂静无声,一点动静都没有。寂然不动的出处《周易·系辞下》:“《易》无思也,无为也,寂然不动,感而遂通天下之故。”寂
寂然不动 jìránbùdòng寂然不动的意思和解释:寂:寂静。寂静无声,一点动静都没有。寂然不动的出处《周易·系辞下》:“《易》无思也,无为也,寂然不动,感而遂通天下之故。”寂
Data records from another source follow.
'''
(1)
Entry from OMol25: C6H11N as an isolated structure in a non-equilibrium geometry (ωB97M-V/def2-TZVPD).

Calculated values
E_tot: -289.7572 a.u.
HOMO-LUMO gap (alpha / beta): 8.4 / 8.3 eV
E_HOMO (alpha / beta): -0.26882 / -0.35812 Eh
strongest force on any atom: 0.03683 hartree/bohr
relative energy (zero: lowest compared OMol25 entry of this formula, charge and spin): 18.84 kcal per mole

Geometry as ORCA input:
```
! RIJCOSX wB97M-V def2-TZVPD def2/J DEFGRID3
* xyz 0 3
C -0.51 -0.91 1.44
C 0.54 -0.44 0.57
C -0.61 -0.08 -0.38
C 1.77 0.34 0.86
C -0.75 -0.93 -1.63
C -0.74 1.40 -0.70
N -1.51 -0.54 0.72
H -0.54 -1.38 2.41
H 1.36 -2.28 -0.27
H 2.29 0.57 -0.07
H 2.43 -0.22 1.52
H 1.51 1.28 1.35
H -1.67 -0.68 -2.15
H -0.78 -1.99 -1.36
H 0.10 -0.77 -2.29
H -0.65 2.00 0.20
H -1.72 1.59 -1.13
H 0.02 1.70 -1.41
*
```

In the Mulliken picture, each atom carries the following charge in e:
1. C -0.3107
2. C -0.6402
3. C 2.3620
4. C -1.1778
5. C -1.5785
6. C -1.6083
7. N -0.7527
8. H 0.4172
9. H 0.0795
10. H 0.3017
11. H 0.4008
12. H 0.2779
13. H 0.3986
14. H 0.4037
15. H 0.3180
16. H 0.3880
17. H 0.4157
18. H 0.3051

=====

(2)
Entry from OMol25: C21H37AlF6O13PS4 as an isolated structure in a non-equilibrium geometry (ωB97M-V/def2-TZVPD).

Calculated values
E_tot: -4576.0627 a.u.
HOMO-LUMO gap: 4.9 eV
E_HOMO: -0.11929 Eh
strongest force on any atom: 0.18448 hartree/bohr

Geometry as ORCA input:
```
! RIJCOSX wB97M-V def2-TZVPD def2/J DEFGRID3
* xyz -1 1
O 1.61 0.46 2.43
C 1.40 -0.41 1.43
O 2.16 -0.13 0.17
C 0.37 -1.69 1.45
F -0.50 -1.52 0.22
F 1.14 -2.92 1.23
C -0.67 -1.72 2.72
F -1.21 -0.35 3.01
F -1.86 -2.54 2.28
C -0.10 -2.43 4.08
F 0.39 -3.82 3.92
F -1.27 -2.51 5.02
C 1.03 -1.53 4.90
O 0.64 -0.48 5.66
Al 3.04 -1.95 4.85
P 3.58 -3.92 6.03
O 5.33 -3.96 6.26
O 3.06 -5.34 5.13
H 1.77 -0.65 -0.59
H 3.43 -2.18 3.32
H 3.82 -0.67 5.41
H 5.66 -4.89 6.09
H 2.05 -5.41 5.26
C -3.56 1.53 1.56
C -4.86 2.30 1.81
C -5.56 2.47 0.47
S -5.05 1.09 -0.54
O -4.26 1.59 -1.65
O -6.17 0.19 -0.73
C -3.94 0.37 0.65
H -3.10 1.18 2.49
H -2.84 2.18 1.05
H -5.49 1.72 2.49
H -4.67 3.27 2.29
H -6.65 2.45 0.58
H -5.25 3.39 -0.03
H -3.08 -0.08 0.15
H -4.49 -0.40 1.21
C 9.53 -5.56 2.33
C 10.38 -4.95 3.44
C 9.44 -4.24 4.40
S 7.87 -5.10 4.29
O 6.89 -4.20 3.73
O 7.64 -5.82 5.53
C 8.37 -6.25 3.03
H 10.11 -6.27 1.72
H 9.15 -4.77 1.67
H 10.92 -5.75 3.97
H 11.13 -4.26 3.04
H 9.80 -4.28 5.43
H 9.27 -3.20 4.11
H 7.53 -6.47 2.37
H 8.70 -7.17 3.53
C -0.58 5.00 -3.33
C -1.72 4.23 -3.99
C -2.63 3.72 -2.88
S -2.46 4.86 -1.52
O -1.84 4.16 -0.41
O -3.69 5.61 -1.37
C -1.23 5.90 -2.29
H 0.00 5.58 -4.05
H 0.11 4.30 -2.84
H -2.28 4.91 -4.65
H -1.34 3.41 -4.61
H -3.67 3.68 -3.20
H -2.32 2.73 -2.54
H -0.54 6.27 -1.54
H -1.76 6.73 -2.76
C -4.37 1.24 -6.85
C -5.67 1.41 -6.08
C -5.93 2.91 -5.93
S -5.13 3.69 -7.33
O -4.05 4.51 -6.84
O -6.15 4.21 -8.23
C -4.45 2.20 -8.03
H -4.22 0.21 -7.19
H -3.52 1.51 -6.21
H -6.49 0.96 -6.65
H -5.64 0.92 -5.11
H -7.00 3.14 -5.94
H -5.47 3.31 -5.02
H -3.48 2.41 -8.48
'''
孤掌难鸣 gūzhǎngnánmíng孤掌难鸣的意思和解释:一个巴掌拍不响。比喻力量孤单,难以成事。孤掌难鸣的出处《韩非子·功名》:“人主之患在莫之应,故曰:一手独拍,虽疾无声。
孤掌难鸣 gūzhǎngnánmíng孤掌难鸣的意思和解释:一个巴掌拍不响。比喻力量孤单,难以成事。孤掌难鸣的出处《韩非子·功名》:“人主之患在莫之应,故曰:一手独拍,虽疾无声。
杳如黄鹤 yǎorúhuánghè杳如黄鹤的意思和解释:杳:无影无声;黄鹤:传说中仙人所乘的鹤。原指传说中仙人骑着黄鹤飞去,从此不再回来。现比喻无影无踪或下落不明。杳如黄鹤的出处
杳如黄鹤 yǎorúhuánghè杳如黄鹤的意思和解释:杳:无影无声;黄鹤:传说中仙人所乘的鹤。原指传说中仙人骑着黄鹤飞去,从此不再回来。现比喻无影无踪或下落不明。杳如黄鹤的出处